You see, it was snowing that day as I was driving home, inhaling cinnamon scents all the way. Cold, white, soft flakes of snow. Temperatures just around the freezing point. And no, that's not terribly unusual here for this time of year, even though, contrary to what you might think, I do not live in an igloo year-round, and my car moves on tires, not sled runners. (I live in Canada, not next door to Father Christmas and the North Polar Bear. Just sayin'.) But, my point is I'm driving home, through the snow, with a one-kilo bag of cinnamon in the car that I paid five bucks for.
For the last few years around Christmas, the local educational TV station has been broadcasting this very interesting show called "A Tudor Feast at Christmas" (ooh, very cool, you can watch it for free here!). A team of English historians dress up in outfits from the late 16th century, go to an old manor house, and spend three days preparing a meal like the highest rungs of the social ladder in Elizabethan England would expect to be fed at a Christmas celebration. They use only the technology, ingredients and methods that would have been used at the time; and talk to the camera about how much bloomin' work it is to grind almonds for marzipan in a mortar and pestle instead of using a food processor. Now that's my kind of reality television!
So one of the blurbs that really stuck with me is where this food historian talks about cinnamon. He says, if I recall correctly, that cinnamon was nearly as precious as gold in those days - if not more so. Say, an English merchant outfitted three whole sailing ships, vessel, crew, supplies, everything, and sent those three ships off to the Spice Islands. He waits a full year for their return. Two of the ships are lost entirely, sunk off the coast of India in a storm. Just one of the ships makes it back to the cooler climates of Europe, its cargo hold loaded with the little fragrant brown sticks. That merchant, in spite of having lost two-thirds of an enormous investment, has just made his fortune for life.
Countries where it can snow in November are constitutionally incapable of growing cinnamon, so they have to bring it from elsewhere, from the far-away exotic shores of hot climates. Cinnamon, by rights, should be expensive around here. I have a feeling that my one-kilo bag of cinnamon, finely ground and powdery, probably equates to a wealthy person's yearly income by 1597's standards. But in case you were wondering, $4.97 doesn't go very far in today's Canada. In fact, it's only about twice of what I might pay for an equivalent weight in apples, which I could have picked from the trees in the orchard down the street a few months ago.
I wonder if the price on whole roasted peacock with the skin put back on, presented at the table in all its peacocky splendour, is going to go through a similar price drop anytime soon?
Here the piece breaks off for records of molecules:
=====
(1)
A molecular structure, C4H9N4 at a distorted geometry, computed with ωB97M-V/def2-TZVPD.

Geometry as ORCA input:
```
! RIJCOSX wB97M-V def2-TZVPD def2/J DEFGRID3
* xyz 1 1
C 2.40631 0.64299 -0.00698
C 2.32988 -0.72728 0.25861
C -1.53501 1.24804 0.30357
C -1.02066 0.02122 -0.41636
N 1.14886 1.10123 -0.35008
N 1.01285 -1.06011 0.05897
N 0.42759 0.07240 -0.27019
N -1.44455 -1.35353 -0.21424
H 3.08863 1.44225 -0.04809
H 3.13924 -1.45607 0.55332
H -2.55951 1.64435 0.10816
H -0.95622 2.14283 -0.03844
H -1.60273 1.01164 1.30029
H -1.10178 0.32480 -1.74219
H -2.35922 -1.62961 -0.54451
H 0.57788 -1.96588 0.25247
H -1.55156 -1.45927 0.79569
*
```

Values from the calculation:
E_tot: -10245.0340 eV
Largest force on an atom: 0.13275 Eh/bohr
Orbital gap: 10.659 eV
LUMO: -0.1500 Ha

Here are the natural (NBO) charges for atoms 1 to 5, given in e: -0.08 -0.02 -0.67 0.13 -0.10



(2)
A molecular structure, C4H9N4 at a distorted geometry, computed with ωB97M-V/def2-TZVPD.

Geometry as ORCA input:
```
! RIJCOSX wB97M-V def2-TZVPD def2/J DEFGRID3
* xyz 1 1
C -0.58207 1.95976 0.05114
C 2.31328 -0.61771 0.37166
C -2.70509 -0.76611 0.38603
C 1.80726 0.12293 -0.76875
N -1.64289 1.33220 0.23244
N -0.47857 -0.40602 -0.37886
N -1.61228 0.03013 0.08743
N 0.44054 0.45083 -0.48738
H -0.06881 2.89496 0.13964
H 2.10207 -0.24106 1.34186
H 3.39885 -0.73093 0.30541
H 1.82657 -1.69699 0.30463
H -2.76536 -1.04949 1.35500
H -3.52664 -0.17902 0.12854
H -2.69608 -1.64727 -0.21234
H 1.82428 -0.49159 -1.74610
H 2.36495 1.03538 -1.11036
*
```

Values from the calculation:
E_tot: -10243.4786 eV
Largest force on an atom: 0.12030 Eh/bohr
Orbital gap: 10.737 eV
LUMO: -0.1622 Ha

Here are the natural (NBO) charges for atoms 1 to 5, given in e: 0.26 -0.63 -0.41 -0.26 -0.19



(3)
A gas-phase ion, C4H9N4 (charge +1) at a distorted geometry, computed with ωB97M-V/def2-TZVPD.

Geometry as ORCA input:
```
! RIJCOSX wB97M-V def2-TZVPD def2/J DEFGRID3
* xyz 1 1
C 0.69901 0.08914 0.05355
C -0.56274 0.55091 -0.19215
C -2.39717 -1.32268 0.01303
C -0.71782 2.06796 -0.02155
N 1.27975 -1.10068 -0.16220
N -1.68810 -0.12609 -0.41843
N -1.52812 -2.28113 0.04031
N 2.57294 -1.35290 -0.01742
H 1.37961 0.81019 0.34983
H -0.19213 2.26743 0.85002
H -0.50795 2.58960 -0.96959
H -1.76075 2.47636 0.07726
H -2.41523 0.60024 -0.61431
H -1.71436 -3.27568 0.10094
H -0.53175 -2.07622 -0.14441
H 3.27136 -0.64225 0.22088
H 2.61446 -2.32160 0.22107
*
```

Values from the calculation:
E_tot: -10243.7697 eV
Largest force on an atom: 0.09391 Eh/bohr
Orbital gap (alpha / beta): 7.525 / 7.524 eV
LUMO (alpha / beta): -0.2114 / -0.2114 Ha

Here are the natural (NBO) charges for atoms 1 to 5, given in e: -0.17 0.39 0.29 -0.67 -0.08



(4)
A gas-phase ion, C4H9N4O (charge +1) at a distorted geometry, computed with ωB97M-V/def2-TZVPD.

Geometry as ORCA input:
```
! RIJCOSX wB97M-V def2-TZVPD def2/J DEFGRID3
* xyz 1 1
C 1.45263 -0.96514 0.59813
C 0.24645 -1.50076 0.72512
C 1.67233 0.36102 -0.11518
C -0.55854 0.59988 0.36162
=====
End of the records of molecules:
Life, the Universe and Cinnamon. Steve says he's looking forward to gingerbread.